To do:
Now quote only the last part of the entries underneath, starting with the line that has "-3.771 -0.344".

Entries:
=====
No. 1
184
Properties=species:S:1:pos:R:3 method="wB97M-V/def2-TZVPD" total_charge=+5 lumo_energy_ev=-12.04
As -0.816 0.359 1.132
F 0.852 1.097 1.059
F -0.114 -1.242 0.825
F -2.485 -0.176 1.216
F -1.407 2.034 1.169
F -0.830 0.447 -0.649
F -0.620 0.302 2.875
C 6.504 2.480 -1.141
C 5.105 1.817 -1.254
C 4.984 0.809 -2.381
C 5.691 -0.491 -1.977
C 5.019 -1.102 -0.798
C 4.908 -0.207 0.443
N 4.672 1.225 0.087
O 4.353 1.964 0.962
C 6.222 -0.344 1.229
C 3.700 -0.655 1.235
C 4.049 2.940 -1.551
H 6.544 3.151 -0.283
H 6.680 2.933 -2.113
H 7.254 1.723 -0.907
H 5.495 1.094 -3.301
H 3.954 0.636 -2.696
H 6.748 -0.450 -1.711
H 5.533 -1.156 -2.826
H 5.421 -2.043 -0.422
H 4.025 -1.379 -1.167
H 7.075 -0.553 0.575
H 6.256 -1.246 1.839
H 6.535 0.570 1.733
H 3.945 -0.268 2.227
H 3.561 -1.731 1.297
H 2.797 -0.159 0.884
H 3.917 3.566 -0.667
H 3.055 2.635 -1.880
H 4.356 3.668 -2.302
C -4.577 -0.481 -2.101
C -5.186 -1.838 -2.036
C -6.477 -1.705 -2.855
C -7.043 -3.014 -3.407
C -6.005 -3.764 -4.195
C -4.762 -4.099 -3.363
N -4.266 -2.858 -2.755
O -3.090 -2.677 -2.641
C -3.773 -4.735 -4.322
C -5.069 -5.099 -2.232
C -5.311 -2.373 -0.587
H -5.283 0.268 -1.740
H -4.268 -0.188 -3.103
H -3.771 -0.344 -1.375
H -6.298 -1.040 -3.702
H -7.280 -1.225 -2.294
H -7.992 -3.000 -3.944
H -7.426 -3.589 -2.555
H -5.747 -3.128 -5.048
H -6.433 -4.634 -4.694
H -3.660 -4.160 -5.246
H -4.173 -5.629 -4.803
H -2.788 -5.002 -3.940
H -5.382 -6.097 -2.532
H -5.861 -4.759 -1.569
H -4.110 -5.166 -1.715
H -4.490 -2.976 -0.195
H -6.207 -2.962 -0.400
H -5.300 -1.526 0.101
C 2.682 2.879 5.822
C 1.300 2.379 6.167
C 1.026 2.620 7.659
C 0.865 4.092 8.033
C -0.274 4.856 7.383
C -0.214 4.586 5.835
N 0.186 3.145 5.507
O 0.059 2.855 4.339
C 0.762 5.554 5.167
C -1.615 4.799 5.242
C 1.255 0.863 5.934
H 2.928 3.732 6.456
H 2.864 3.129 4.778
H 3.459 2.177 6.123
H 1.878 2.219 8.209
H 0.150 2.137 8.099
H 1.826 4.616 8.043
H 0.798 4.139 9.124
H -0.205 5.935 7.496
H -1.224 4.450 7.732
H 0.302 6.533 5.076
H 0.933 5.119 4.179
H 1.735 5.504 5.653
H -1.565 4.631 4.168
H -1.998 5.780 5.520
H -2.365 4.134 5.674
H 1.765 0.272 6.692
H 1.421 0.479 4.928
H 0.218 0.554 6.120
C -1.045 -2.558 6.479
C -0.564 -2.536 5.030
N -1.046 -3.725 4.115
C -0.393 -4.963 4.704
C -2.551 -3.927 4.218
C -3.369 -2.774 3.665
C -0.519 -3.447 2.712
C -0.816 -4.484 1.623
O -0.126 -5.684 1.816
C -0.439 -6.691 0.876
H -2.128 -2.448 6.559
H -0.542 -1.728 6.971
H -0.903 -3.518 6.974
H 0.520 -2.609 4.926
H -0.722 -1.589 4.510
H -0.924 -5.292 5.595
H 0.620 -4.764 5.049
H -0.386 -5.716 3.922
H -2.646 -4.089 5.290
H -2.830 -4.870 3.750
H -3.201 -1.759 4.030
H -4.451 -2.839 3.780
H -3.147 -2.779 2.596
H 0.536 -3.190 2.670
H -1.166 -2.606 2.472
H -0.699 -3.922 0.687
H -1.886 -4.687 1.467
H -0.631 -6.252 -0.109
H -1.346 -7.280 1.048
H 0.332 -7.449 0.759
C 0.685 8.112 -3.571
C 0.679 6.813 -2.776
N -0.078 6.894 -1.424
C 0.187 8.268 -0.848
C -1.603 6.765 -1.647
C -2.470 7.041 -0.437
C 0.458 5.867 -0.452
C 0.280 4.380 -0.740
O 0.788 4.040 -1.986
C 0.571 2.688 -2.406
H 1.273 8.871 -3.059
H -0.315 8.431 -3.855
H 1.305 7.949 -4.453
H 1.662 6.398 -2.564
H 0.192 5.994 -3.305
H -0.251 8.325 0.145
H -0.243 9.023 -1.504
H 1.217 8.620 -0.782
H -1.795 5.722 -1.895
H -1.777 7.432 -2.487
H -3.521 6.809 -0.619
H -2.546 8.073 -0.093
H -2.247 6.422 0.433
H 0.024 6.138 0.512
H 1.504 6.142 -0.302
H -0.770 4.200 -0.489
H 0.943 3.925 0.005
H 0.979 1.999 -1.662
H 1.198 2.671 -3.295
H -0.501 2.538 -2.529
C 1.907 -5.836 -5.616
C 1.172 -4.706 -4.923
N 1.242 -3.299 -5.662
C 2.544 -2.690 -5.198
C 1.321 -3.454 -7.170
C 0.145 -4.206 -7.809
C 0.012 -2.447 -5.257
C -0.066 -1.989 -3.771
O 0.063 -3.038 -2.871
C 0.746 -2.677 -1.678
H 1.801 -5.960 -6.692
H 1.651 -6.790 -5.153
H 2.999 -5.856 -5.554
H 1.402 -4.609 -3.864
H 0.095 -4.838 -4.818
H 2.897 -1.853 -5.796
H 3.279 -3.494 -5.168
H 2.445 -2.422 -4.147
H 2.297 -3.932 -7.228
H 1.375 -2.461 -7.615
H 0.372 -4.088 -8.874
H -0.842 -3.757 -7.737
H 0.235 -5.287 -7.741
H -0.819 -3.145 -5.347
H 0.025 -1.627 -5.971
H -0.961 -1.371 -3.638
=====

Reply:
H -3.771 -0.344 -1.375
H -6.298 -1.040 -3.702
H -7.280 -1.225 -2.294
H -7.992 -3.000 -3.944
H -7.426 -3.589 -2.555
H -5.747 -3.128 -5.048
H -6.433 -4.634 -4.694
H -3.660 -4.160 -5.246
H -4.173 -5.629 -4.803
H -2.788 -5.002 -3.940
H -5.382 -6.097 -2.532
H -5.861 -4.759 -1.569
H -4.110 -5.166 -1.715
H -4.490 -2.976 -0.195
H -6.207 -2.962 -0.400
H -5.300 -1.526 0.101
C 2.682 2.879 5.822
C 1.300 2.379 6.167
C 1.026 2.620 7.659
C 0.865 4.092 8.033
C -0.274 4.856 7.383
C -0.214 4.586 5.835
N 0.186 3.145 5.507
O 0.059 2.855 4.339
C 0.762 5.554 5.167
C -1.615 4.799 5.242
C 1.255 0.863 5.934
H 2.928 3.732 6.456
H 2.864 3.129 4.778
H 3.459 2.177 6.123
H 1.878 2.219 8.209
H 0.150 2.137 8.099
H 1.826 4.616 8.043
H 0.798 4.139 9.124
H -0.205 5.935 7.496
H -1.224 4.450 7.732
H 0.302 6.533 5.076
H 0.933 5.119 4.179
H 1.735 5.504 5.653
H -1.565 4.631 4.168
H -1.998 5.780 5.520
H -2.365 4.134 5.674
H 1.765 0.272 6.692
H 1.421 0.479 4.928
H 0.218 0.554 6.120
C -1.045 -2.558 6.479
C -0.564 -2.536 5.030
N -1.046 -3.725 4.115
C -0.393 -4.963 4.704
C -2.551 -3.927 4.218
C -3.369 -2.774 3.665
C -0.519 -3.447 2.712
C -0.816 -4.484 1.623
O -0.126 -5.684 1.816
C -0.439 -6.691 0.876
H -2.128 -2.448 6.559
H -0.542 -1.728 6.971
H -0.903 -3.518 6.974
H 0.520 -2.609 4.926
H -0.722 -1.589 4.510
H -0.924 -5.292 5.595
H 0.620 -4.764 5.049
H -0.386 -5.716 3.922
H -2.646 -4.089 5.290
H -2.830 -4.870 3.750
H -3.201 -1.759 4.030
H -4.451 -2.839 3.780
H -3.147 -2.779 2.596
H 0.536 -3.190 2.670
H -1.166 -2.606 2.472
H -0.699 -3.922 0.687
H -1.886 -4.687 1.467
H -0.631 -6.252 -0.109
H -1.346 -7.280 1.048
H 0.332 -7.449 0.759
C 0.685 8.112 -3.571
C 0.679 6.813 -2.776
N -0.078 6.894 -1.424
C 0.187 8.268 -0.848
C -1.603 6.765 -1.647
C -2.470 7.041 -0.437
C 0.458 5.867 -0.452
C 0.280 4.380 -0.740
O 0.788 4.040 -1.986
C 0.571 2.688 -2.406
H 1.273 8.871 -3.059
H -0.315 8.431 -3.855
H 1.305 7.949 -4.453
H 1.662 6.398 -2.564
H 0.192 5.994 -3.305
H -0.251 8.325 0.145
H -0.243 9.023 -1.504
H 1.217 8.620 -0.782
H -1.795 5.722 -1.895
H -1.777 7.432 -2.487
H -3.521 6.809 -0.619
H -2.546 8.073 -0.093
H -2.247 6.422 0.433
H 0.024 6.138 0.512
H 1.504 6.142 -0.302
H -0.770 4.200 -0.489
H 0.943 3.925 0.005
H 0.979 1.999 -1.662
H 1.198 2.671 -3.295
H -0.501 2.538 -2.529
C 1.907 -5.836 -5.616
C 1.172 -4.706 -4.923
N 1.242 -3.299 -5.662
C 2.544 -2.690 -5.198
C 1.321 -3.454 -7.170
C 0.145 -4.206 -7.809
C 0.012 -2.447 -5.257
C -0.066 -1.989 -3.771
O 0.063 -3.038 -2.871
C 0.746 -2.677 -1.678
H 1.801 -5.960 -6.692
H 1.651 -6.790 -5.153
H 2.999 -5.856 -5.554
H 1.402 -4.609 -3.864
H 0.095 -4.838 -4.818
H 2.897 -1.853 -5.796
H 3.279 -3.494 -5.168
H 2.445 -2.422 -4.147
H 2.297 -3.932 -7.228
H 1.375 -2.461 -7.615
H 0.372 -4.088 -8.874
H -0.842 -3.757 -7.737
H 0.235 -5.287 -7.741
H -0.819 -3.145 -5.347
H 0.025 -1.627 -5.971
H -0.961 -1.371 -3.638